Brief:
What is needed: retype only the lines below with the word "cell" in them.

Source:
********
(w)
A relaxed Sr5Ta4O15 crystal. Source: Materials Project, functional r2SCAN.

## Properties
crystal system	trigonal
symmetry	P-3m1
magnetization	0.0	μB per formula unit

Unit cell a=5.669 b=5.669 c=11.543 alpha=90.00 beta=90.00 gamma=120.00
Fractional coordinates of all 24 atoms:
1 Sr 0.333 0.667 0.440
2 Sr 0.333 0.667 0.778
3 Sr 0.000 0.000 0.000
4 Sr 0.667 0.333 0.222
5 Sr 0.667 0.333 0.560
6 Ta 0.333 0.667 0.105
7 Ta 0.000 0.000 0.318
8 Ta 0.000 0.000 0.682
9 Ta 0.667 0.333 0.895
10 O 0.169 0.831 0.609
11 O 0.000 0.500 0.000
12 O 0.165 0.835 0.193
13 O 0.165 0.330 0.193
14 O 0.169 0.338 0.609
15 O 0.338 0.169 0.391
16 O 0.670 0.835 0.193
17 O 0.500 0.500 0.000
18 O 0.330 0.165 0.807
19 O 0.662 0.831 0.609
20 O 0.500 0.000 0.000
21 O 0.835 0.670 0.807
22 O 0.831 0.662 0.391
23 O 0.835 0.165 0.807
24 O 0.831 0.169 0.391

=====

(x)
A relaxed Sr5Ta4O15 crystal. Source: Materials Project, functional r2SCAN.

## Properties
crystal system	trigonal
symmetry	P-3c1
magnetization	0.0	μB per formula unit

Unit cell a=5.671 b=5.671 c=23.062 alpha=90.00 beta=90.00 gamma=120.00
Fractional coordinates of all 48 atoms:
1 Sr 0.333 0.667 0.640
2 Sr 0.333 0.667 0.972
3 Sr 0.000 0.000 0.750
4 Sr 0.000 0.000 0.250
5 Sr 0.333 0.667 0.472
6 Sr 0.333 0.667 0.140
7 Sr 0.667 0.333 0.528
8 Sr 0.667 0.333 0.860
9 Sr 0.667 0.333 0.028
10 Sr 0.667 0.333 0.360
11 Ta 0.333 0.667 0.802
12 Ta 0.000 0.000 0.592
13 Ta 0.000 0.000 0.908
14 Ta 0.000 0.000 0.092
15 Ta 0.000 0.000 0.408
16 Ta 0.333 0.667 0.302
17 Ta 0.667 0.333 0.698
18 Ta 0.667 0.333 0.198
19 O 0.101 0.769 0.056
20 O 0.121 0.790 0.846
21 O 0.000 0.541 0.250
22 O 0.000 0.459 0.750
23 O 0.210 0.879 0.346
24 O 0.231 0.899 0.556
25 O 0.101 0.332 0.556
26 O 0.121 0.331 0.346
27 O 0.210 0.331 0.846
28 O 0.231 0.332 0.056
29 O 0.332 0.231 0.444
30 O 0.668 0.899 0.056
31 O 0.669 0.879 0.846
32 O 0.331 0.210 0.654
33 O 0.459 0.459 0.250
34 O 0.541 0.541 0.750
35 O 0.669 0.790 0.346
36 O 0.331 0.121 0.154
37 O 0.332 0.101 0.944
38 O 0.668 0.769 0.556
39 O 0.769 0.668 0.944
40 O 0.790 0.669 0.154
41 O 0.459 0.000 0.750
42 O 0.541 0.000 0.250
43 O 0.879 0.669 0.654
44 O 0.899 0.668 0.444
45 O 0.769 0.101 0.444
46 O 0.790 0.121 0.654
47 O 0.879 0.210 0.154
48 O 0.899 0.231 0.944

=====

It turns out (x) is the most stable, with the second structure 1.3 kJ/mol of atoms higher.

=====

(w)
A relaxed Y3TaO7 crystal. Source: Materials Project, functional r2SCAN.

## Properties
crystal system	triclinic
symmetry	P1
magnetization	0.0	μB per formula unit

Unit cell a=5.365 b=7.467 c=8.204 alpha=63.78 beta=87.23 gamma=88.42
Fractional coordinates of all 22 atoms:
1 Y 0.989 0.015 0.974
2 Y 0.056 0.521 0.995
3 Y 0.539 0.599 0.241
4 Y 0.959 0.726 0.506
5 Y 0.497 0.125 0.239
6 Y 0.992 0.228 0.463
7 Ta 0.491 0.889 0.776
8 Ta 0.503 0.405 0.720
9 O 0.284 0.263 0.949
10 O 0.271 0.783 0.024
11 O 0.759 0.764 0.947
12 O 0.745 0.879 0.230
13 O 0.770 0.355 0.209
14 O 0.164 0.991 0.375
15 O 0.270 0.382 0.245
16 O 0.655 0.137 0.795
17 O 0.745 0.469 0.497
18 O 0.273 0.508 0.523
19 O 0.335 0.667 0.749
20 O 0.786 0.499 0.792
21 O 0.683 0.969 0.548
22 O 0.211 0.071 0.708

=====

(x)
A relaxed Y3TaO7 crystal. Source: Materials Project, functional r2SCAN.

## Properties
crystal system	orthorhombic
symmetry	C222_1
magnetization	0.0	μB per formula unit

Unit cell a=6.449 b=6.449 c=7.437 alpha=90.00 beta=90.00 gamma=108.90
Fractional coordinates of all 22 atoms:
1 Y 0.000 0.535 0.242
2 Y 0.000 0.465 0.742
3 Y 0.535 0.000 0.758
4 Y 0.465 0.000 0.258
5 Y 0.469 0.469 0.000
6 Y 0.531 0.531 0.500
7 Ta 0.998 0.998 0.000
8 Ta 0.002 0.002 0.500
9 O 0.933 0.067 0.750
10 O 0.067 0.933 0.250
11 O 0.361 0.639 0.250
12 O 0.639 0.361 0.750
13 O 0.371 0.629 0.750
14 O 0.629 0.371 0.250
15 O 0.328 0.082 0.976
16 O 0.672 0.918 0.476
17 O 0.310 0.053 0.542
18 O 0.690 0.947 0.042
19 O 0.053 0.310 0.458
20 O 0.947 0.690 0.958
21 O 0.918 0.672 0.524
22 O 0.082 0.328 0.024

=====
********

Reply:
Unit cell a=5.669 b=5.669 c=11.543 alpha=90.00 beta=90.00 gamma=120.00
Unit cell a=5.671 b=5.671 c=23.062 alpha=90.00 beta=90.00 gamma=120.00
Unit cell a=5.365 b=7.467 c=8.204 alpha=63.78 beta=87.23 gamma=88.42
Unit cell a=6.449 b=6.449 c=7.437 alpha=90.00 beta=90.00 gamma=108.90